Chapter 49

"What the?! Why are there so many Ursa?!" Russel nervously stepped back, his knives at the ready. "There's no way that fight could have attracted so many!"

"The sap..." Weiss turned to the recently killed Ursa Major which was slowly disappearing. "I read that the sap from Forever Fall trees can attract Ursa."

The article is interrupted by materials data =
'''
No. 1
CaNb5P9O36: relaxed, GGA-PBE.

a = 8.8691 Å, b = 8.8691 Å, c = 22.8620 Å
α = 90.00°, β = 90.00°, γ = 120.00°
Space group P3c1 (No. 158)
Asymmetric unit:
Ca  0.0000  0.0000  0.0000 (multiplicity 2)
Nb  0.0000  0.0000  0.2854 (multiplicity 2)
Nb  0.3333  0.6667  0.1655 (multiplicity 2)
Nb  0.3333  0.6667  0.4489 (multiplicity 2)
Nb  0.6667  0.3333  0.1130 (multiplicity 2)
Nb  0.6667  0.3333  0.3271 (multiplicity 2)
P  0.9997  0.2887  0.3894 (multiplicity 6)
P  0.0508  0.3946  0.0582 (multiplicity 6)
P  0.3801  0.0533  0.7214 (multiplicity 6)
O  0.0313  0.2195  0.0565 (multiplicity 6)
O  0.0325  0.1994  0.3351 (multiplicity 6)
O  0.1316  0.4862  0.7132 (multiplicity 6)
O  0.1373  0.5085  0.0027 (multiplicity 6)
O  0.1566  0.4935  0.1137 (multiplicity 6)
O  0.1671  0.4710  0.3977 (multiplicity 6)
O  0.1991  0.0333  0.7339 (multiplicity 6)
O  0.2320  0.0514  0.4431 (multiplicity 6)
O  0.4633  0.1689  0.6672 (multiplicity 6)
O  0.4745  0.1495  0.3707 (multiplicity 6)
O  0.4979  0.1376  0.7748 (multiplicity 6)
O  0.5173  0.1294  0.0663 (multiplicity 6)

Values from the calculation:
Formation enthalpy at 0 K ... -2.89 eV per atom

***

No. 2
Ca2Nb4P6S3O36: relaxed, GGA-PBE.

a = 8.9639 Å, b = 8.9639 Å, c = 22.8140 Å
α = 90.00°, β = 90.00°, γ = 120.00°
Space group P3c1 (No. 158)
Asymmetric unit:
Ca  0.0000  0.0000  0.0000 (multiplicity 2)
Ca  0.3333  0.6667  0.1803 (multiplicity 2)
Nb  0.0000  0.0000  0.2911 (multiplicity 2)
Nb  0.3333  0.6667  0.4541 (multiplicity 2)
Nb  0.6667  0.3333  0.1248 (multiplicity 2)
Nb  0.6667  0.3333  0.3363 (multiplicity 2)
P  0.0032  0.2924  0.3955 (multiplicity 6)
P  0.3763  0.0663  0.7305 (multiplicity 6)
S  0.0402  0.3917  0.0630 (multiplicity 6)
O  0.0034  0.2180  0.0534 (multiplicity 6)
O  0.0414  0.2050  0.3427 (multiplicity 6)
O  0.1072  0.4651  0.7265 (multiplicity 6)
O  0.1271  0.5035  0.0093 (multiplicity 6)
O  0.1425  0.4695  0.1147 (multiplicity 6)
O  0.1729  0.4728  0.4063 (multiplicity 6)
O  0.1995  0.0580  0.7396 (multiplicity 6)
O  0.2339  0.0470  0.4497 (multiplicity 6)
O  0.4650  0.1816  0.6743 (multiplicity 6)
O  0.4767  0.1373  0.3788 (multiplicity 6)
O  0.4868  0.1648  0.7839 (multiplicity 6)
O  0.5213  0.1313  0.0692 (multiplicity 6)

Values from the calculation:
Formation enthalpy at 0 K ... -2.70 eV per atom

***

No. 3
Ca4Nb2S9O36: relaxed, GGA-PBE.

a = 9.1972 Å, b = 9.1972 Å, c = 23.4910 Å
α = 90.00°, β = 90.00°, γ = 120.00°
Space group P3c1 (No. 158)
Asymmetric unit:
Ca  0.0000  0.0000  0.0000 (multiplicity 2)
Ca  0.0000  0.0000  0.2136 (multiplicity 2)
Ca  0.3333  0.6667  0.3804 (multiplicity 2)
Ca  0.6667  0.3333  0.0496 (multiplicity 2)
Nb  0.3333  0.6667  0.1714 (multiplicity 2)
Nb  0.6667  0.3333  0.3366 (multiplicity 2)
S  0.0131  0.3036  0.1102 (multiplicity 6)
S  0.0368  0.3857  0.7740 (multiplicity 6)
S  0.3821  0.0546  0.4377 (multiplicity 6)
O  0.0058  0.2188  0.7616 (multiplicity 6)
O  0.0558  0.2434  0.0587 (multiplicity 6)
O  0.1076  0.4747  0.4275 (multiplicity 6)
'''
End of the materials data =

"So it's Jaune's fault!" Russel shot Jaune a venomous glare as Pyrrha helped him to his feet.

"No...not Jaune...Nora's team..." At that moment, everyone's eyes widened, remembering Nora and Cardin smashing trees, most of the sap being carried by the wind. I immediately took my jar of sap, throwing it at a nearby tree. As the sap splattered to the ground, it caught the attention of the group of grimm, buying us a little more time. "Jaune! Can you still fight?"

"Well..." Jaune nervously looked at the many of Ursa. "I'm not in great shape, but I can still try."

"No." Pyrrha firmly shook her head. "Right now having an exhausted teammate will only slow us down. And there are still more Ursa attacking other teams, I don't know how well Ruby and Jacey are doing on their own. they still haven't come back with Port."

"Damn..." she's right. "Okay, Pyrrha take Jaune somewhere else and go check on your group."

"Wait a minute! I don't wanna stay here and fight these monsters! I'll take care of Jaune!" Russel desperately yelled, eager to find a way out

" if you wouldn't immediately ditch him and run off on your own the second you got a chance. You stay here and help us, or the next thing I throw at the Ursa to distract them is gonna be you."

Russel grit his teeth, silently glaring at me, but otherwise didn't try and talk back, turning to face the grimm. Of course, I'd never actually do that to Russel, I just need to convince him that I would. Trying to appeal to his sense of morality would be completely useless.

"Right now our only option is to try and hold these grimm off."

"But Aero-" There was a deep roar as the sap distraction stopped working, the group of Ursa charging towards us.

"GO!" I and the rest of Chartreuse stood in front of the pack, keeping their attention on us.

Pyrrha hesitated for a moment before nodding and pulling on Jaune's arm. "C'mon, you heard him. The sooner we deal with the other grimm, the sooner we can come back and help them."

Jaune looked reluctant to leave, making a bitter face. "Alright, you believed in me, so I'll believe in you Aero!" he said before lowering his sword and running off deeper into the forest with Pyrrha.

"Here they come!"

The large group or Ursa surged towards our team like a black wave intending on snuffing us out. It was honestly enough to shake one's resolve.

"Weiss, we'll take their attention for a moment, try and give us some obstacles!"

"Got it!" Weiss nodded her head without a word of complaint, immediately closing her eyes to focus despite the horde of grimm coming at us. How she managed to do so in an intense situation like this is beyond me. But it's up to us to make sure we don't betray her trust.

Raelin and I immediately charged in toward the swarm of grimm. Russel grimaced for a moment, hesitating before running in right after us.

"Raelin draw the grimm's attention for a brief moment. Russel, come give me a hand, I need some extra muscle right now."

Raelin threw both of her chakram, the bladed discs smacking into two of the grimm and enraging them. Then ricocheting off to hit two other Ursa before returning to her hands. The creatures roared, turning their attention to her, with the other Ursa next to them following suit. As the group ran towards her, I fired the chain on my spear at ankle length level, the claw gripping tightly onto one of the trees.

GWOOOOOOOOOOOAAAAAAARRR!" The first Ursa that ran into the chain too angered by Raelin's attack to notice it. The beast was heavy but clumsy, tumbling down and crashing face first into the ground.

Russel and I held on with all of our might, grunting as two more of the Ursa ran into the chain. The both of us just barely strong enough to hold the line taut and trip them. The fallen Ursa piled up at the front, causing the grimm rushing in behind them to crash into the pile and temporarily stop the group. Unfortunately, the weight of several grimm proved to be too much. My spear's grappling claw tearing a chunk out of the tree it had gripped, and the chain became slack.

"Alright, I'm ready to begin!"

### Misplaced calculated crystals
........
A plane-wave DFT calculation with PBE was carried out for a geometry-optimized AlPPt5 structure.

Calculated values
Crystal system: tetragonal
Electronic total energy in eV/atom: -6.25

The structure in POSCAR format:
```
AlPPt5
1.0
-0.0595 3.7175 -1.3473
-3.5834 0.5189 1.5901
2.9044 2.1629 5.8394
Pt P Al
5 1 1
direct
0.0000 0.5000 0.2870 Pt
0.0000 0.5000 0.7130 Pt
0.5000 0.0000 0.2870 Pt
0.0000 0.0000 0.0000 Pt
0.5000 0.0000 0.7130 Pt
0.0000 0.0000 0.5000 P
0.5000 0.5000 0.0000 Al
```



A plane-wave DFT calculation with PBE was carried out for a geometry-optimized AlP2S6 structure.

Calculated values
Crystal system: monoclinic
Electronic total energy in eV/atom: -4.72

The structure in POSCAR format:
```
AlP2S6
1.0
-1.8760 0.5345 -5.5865
5.4938 -1.9218 1.0674
-3.5219 -6.1513 1.6301
S Al P
6 1 2
direct
0.5853 0.9412 0.2299 S
0.7207 0.7859 0.7683 S
0.8756 0.5658 0.2280 S
0.4342 0.1244 0.7720 S
0.0588 0.4147 0.7701 S
0.2142 0.2793 0.2317 S
0.8143 0.1857 0.0000 Al
0.5351 0.5730 0.1606 P
0.4270 0.4649 0.8394 P
```



A plane-wave DFT calculation with PBE was carried out for a geometry-optimized Al2P3S9 structure.

Calculated values
Crystal system: monoclinic
Electronic total energy in eV/atom: -4.86

The structure in POSCAR format:
```
Al2P3S9
1.0
-3.3585 3.8399 8.9211
0.4335 -5.7000 8.5400
6.0749 2.2846 3.2575
S P Al
18 6 4
direct
0.9123 0.2424 0.7286 S
0.5878 0.2627 0.7382 S
0.0927 0.4087 0.2631 S
0.2365 0.2577 0.7370 S
0.7423 0.7635 0.2630 S
0.0692 0.0840 0.2851 S
0.0824 0.7391 0.2863 S
0.2609 0.9176 0.7137 S
0.2465 0.5868 0.7145 S
0.4165 0.0659 0.2690 S
0.7373 0.4122 0.2618 S
0.4132 0.7535 0.2855 S
0.9160 0.9308 0.7149 S
0.3945 0.4292 0.2712 S
0.9341 0.5835 0.7310 S
0.5913 0.9073 0.7369 S
0.5708 0.6055 0.7288 S
0.7576 0.0877 0.2714 S
0.1901 0.1820 0.3436 P
0.8439 0.8611 0.3449 P
0.8180 0.8099 0.6564 P
0.5107 0.5152 0.3441 P
0.4848 0.4893 0.6559 P
0.1389 0.1561 0.6551 P
0.1648 0.8352 0.5000 Al
0.5122 0.8362 0.4991 Al
0.8161 0.1839 0.5000 Al
0.1638 0.4878 0.5009 Al
```



A plane-wave DFT calculation with PBE was carried out for a geometry-optimized PaAlTc2 structure.

Calculated values
Crystal system: cubic
Electronic total energy in eV/atom: -8.85

The structure in POSCAR format:
```
PaAlTc2
1.0
-2.1562 -0.4231 4.0511
-1.9982 3.6713 1.9413
-4.5954 0.2830 0.2052
Pa Tc Al
1 2 1
direct
0.0000 0.0000 0.0000 Pa
0.7500 0.7500 0.7500 Tc
0.2500 0.2500 0.2500 Tc
0.5000 0.5000 0.5000 Al
```



A plane-wave DFT calculation with PBE was carried out for a geometry-optimized AlPb3 structure.

Calculated values
Crystal system: hexagonal
Energy above the most stable polymorph in this dataset in meV per atom: 41

The structure in POSCAR format:
```
AlPb3
1.0
4.1184 2.9577 4.7408
-6.8422 1.1620 0.1371
-0.6839 -4.4225 3.3531
Pb Al
6 2
direct
0.8288 0.1712 0.7500 Pb
0.1712 0.3423 0.2500 Pb
0.1712 0.8288 0.2500 Pb
0.3423 0.1712 0.7500 Pb
0.6577 0.8288 0.2500 Pb
0.8288 0.6577 0.7500 Pb
0.3333 0.6667 0.7500 Al
0.6667 0.3333 0.2500 Al
```
........

No sooner had that happened, when Weiss finished her preparations, stabbing her rapier into the ground. Immediately four large pillars of ice rose into the air next to us. The pillars were evenly spaced with about 5 feet between each one in a square formation. The temperature in the surrounding area plummeting many degrees in response.

"Everyone, use shelter in the pillars as choke-points, and!" I said, calling out to them, and recalling the chain back into my weapon. "If we're careful, only one Ursa should be able to squeeze through at a time! This should help prevent us from being swarmed!"

Running between the spaces of the pillars, the other three did the same. With the grimm hot on our heels, they mindlessly charged at us from all sides.